Cobourg GO Bus Pilot to Continue

For at least 18 years, there have been people wanting the GO Bus or train to extend service from Oshawa to Port Hope or Cobourg. Last year, the County started a pilot program with two interconnected bus routes – a “Durham” route from Cobourg to Oshawa and a “Northumberland” Route picking up in Campbellford, Brighton and Colborne. The idea was to test if there was in fact enough demand for it to be viable – 20% of operating cost would need to be recovered from fares. After one year of the pilot/trial service, the Northumberland route will be discontinued on November 30 since there were only 513 tickets sold for the approx. 3650 trips (10 trips per day for a year). The Durham route… Read complete articleCobourg GO Bus Pilot to Continue

County Releases Strategic Plan for 2023-2027

I did not know the County had a strategic plan nor was I aware that they were producing a new one.  But there is a 2019 – 2023 Strategic Plan on their web site as well as the new one. The document is 28 pages with about half devoted to describing the county and the second half to text describing goals. The goals are divided into 5 “pillars” or categories and although Key Performance Indicators are promised, it will be early 2024 before we know what they are and see progress reports using them. There are no specific cost goals or even goals with numbers  – I would use the term “Motherhood” to describe the goals.  (That is, feel good goals as… Read complete articleCounty Releases Strategic Plan for 2023-2027

County Acts to Evict Campers at 600 William

At a special meeting on September 5, County Council heard detailed reports from Staff on the illegal encampment on the County property at 600 William street. The location is not a public park and houses several County departments, notably the paramedics and their ambulances.  Council heard reports from Staff that emphasized the negative impact on their staff and the work that was being done to offer services to the campers. One key point was made that the campers have a hierarchy – that is, one unnamed individual wants all communication to go through him and therefore makes it difficult to have direct communication with individuals needing help. In some cases, individuals have agreed to accept help but have then been persuaded to… Read complete articleCounty Acts to Evict Campers at 600 William

Council Acts on Encampments

At the regular Council meeting on Monday 21 August, a last minute addition to the Agenda was debated.  Brent Larmer worked through his vacation to write a By-Law that modified the Parks By-Law (022-2016) to essentially do two things: 1) enhance the clauses about enforcement and 2) delegate primary responsibility for looking after the homeless to the County – specifically, the county will decide if a permit should be issued for camping on Parks (or Town land). (The West Beach encampment is on Town property). Such a permit (just one) will only be issued in an emergency – that is, because there is no suitable place for campers to go.  So the Town will now enforce their Bylaws and the… Read complete articleCouncil Acts on Encampments

No visible action by Police, Town or County on Homeless

Editor’s note: Shortly after this article was posted, the Town and County issued a statement – see update below. It’s been several days since the Town deemed the encampment by homeless people on the West Beach to be illegal and they decided to do nothing.  Since then drug dealers have tried to sell them drugs and fired shots (well, just one) causing a Police presence but still no word from any of the parties responsible.  There are several news items on Today’s Northumberland and a large number of comments by the public on this blog and the Town’s Facebook page.  I’m certain that councillors are getting deluged with emails from the Public but there’s been no reporting to the public… Read complete articleNo visible action by Police, Town or County on Homeless

[Records of crystals, kept here for reference]
[1]
A plane-wave DFT calculation with PBE was carried out for crystalline Ho12Ge5S28 at its relaxed geometry.

Summary:
Energy of formation from the pure elements, meV/atom: -1773
Energy, eV per atom: -5.770
Total energy after the MP2020 corrections, eV/cell: -273.73
Calculated volume, Å³/cell: 960.7
Spin magnetization, Bohr magnetons per cell: 0.01

Unit cell a=9.819 b=11.368 c=11.379 alpha=96.55 beta=115.55 gamma=115.57
Space group P1 (No. 1)
Symmetry-distinct sites (fractional):
Ho (0.000, 0.000, 0.000) (multiplicity 1)
Ho (0.006, 0.660, 0.884) (multiplicity 1)
Ho (0.049, 0.465, 0.570) (multiplicity 1)
Ho (0.284, 0.428, 0.068) (multiplicity 1)
Ho (0.330, 0.232, 0.765) (multiplicity 1)
Ho (0.339, 0.896, 0.647) (multiplicity 1)
Ho (0.478, 0.126, 0.368) (multiplicity 1)
Ho (0.500, 0.512, 0.525) (multiplicity 1)
Ho (0.518, 0.952, 0.050) (multiplicity 1)
Ho (0.816, 0.943, 0.601) (multiplicity 1)
Ho (0.827, 0.376, 0.121) (multiplicity 1)
Ho (0.845, 0.764, 0.273) (multiplicity 1)
Ge (0.082, 0.195, 0.405) (multiplicity 1)
Ge (0.333, 0.774, 0.322) (multiplicity 1)
Ge (0.583, 0.696, 0.907) (multiplicity 1)
Ge (0.645, 0.426, 0.303) (multiplicity 1)
Ge (0.826, 0.278, 0.818) (multiplicity 1)
S (0.000, 0.203, 0.560) (multiplicity 1)
S (0.060, 0.938, 0.553) (multiplicity 1)
S (0.062, 0.440, 0.820) (multiplicity 1)
S (0.103, 0.144, 0.853) (multiplicity 1)
S (0.132, 0.397, 0.370) (multiplicity 1)
S (0.139, 0.585, 0.129) (multiplicity 1)
S (0.207, 0.726, 0.766) (multiplicity 1)
S (0.217, 0.893, 0.367) (multiplicity 1)
S (0.248, 0.929, 0.072) (multiplicity 1)
S (0.329, 0.267, 0.232) (multiplicity 1)
S (0.357, 0.234, 0.528) (multiplicity 1)
S (0.392, 0.497, 0.723) (multiplicity 1)
S (0.443, 0.740, 0.523) (multiplicity 1)
S (0.497, 0.109, 0.890) (multiplicity 1)
S (0.503, 0.702, 0.064) (multiplicity 1)
S (0.566, 0.434, 0.066) (multiplicity 1)
S (0.581, 0.928, 0.332) (multiplicity 1)
S (0.592, 0.611, 0.342) (multiplicity 1)
S (0.633, 0.894, 0.869) (multiplicity 1)
S (0.639, 0.085, 0.629) (multiplicity 1)
S (0.698, 0.232, 0.266) (multiplicity 1)
S (0.718, 0.407, 0.853) (multiplicity 1)
S (0.729, 0.418, 0.532) (multiplicity 1)
S (0.816, 0.758, 0.733) (multiplicity 1)
S (0.857, 0.734, 0.034) (multiplicity 1)
S (0.890, 0.012, 0.206) (multiplicity 1)
S (0.946, 0.240, 0.017) (multiplicity 1)
S (0.947, 0.584, 0.367) (multiplicity 1)



[2]
A plane-wave DFT calculation with PBE was carried out for crystalline CaHo2Ge4O12 at its relaxed geometry.

Summary:
Energy of formation from the pure elements, meV/atom: -2835
Energy, eV per atom: -7.088
Total energy after the MP2020 corrections, eV/cell: -571.63
Calculated volume, Å³/cell: 1038.4
Spin magnetization, Bohr magnetons per cell: 0.00

Unit cell a=14.259 b=14.292 c=5.096 alpha=90.00 beta=90.00 gamma=90.00
Space group Cmme (No. 67)
Symmetry-distinct sites (fractional):
Ca (0.000, 0.000, 0.000) (multiplicity 4)
Ho (0.250, 0.000, 0.000) (multiplicity 4)
Ho (0.250, 0.250, 0.000) (multiplicity 4)

County Promoting Bicycle Tourism

There are two cycling clubs that have Cobourg addresses but there are also cyclists from out of town who like to tour the County.  To assist all cyclists in Northumberland, the County is launching a pilot project and installing “Bike Repair Stations” in five locations.  Why now?  Because June 3 is “World Bicycle Day”!  Each repair station includes “a full set of tools for cyclists to make any needed adjustments or any unexpected repairs, to help keep rolling along”.  The most common problem is a flat tire so a pump is provided – a manually operated one.  Also provided are commonly required tools.  Because of the risk of tools being stolen, they are tethered with “chain or coated aircraft cable”. … Read complete articleCounty Promoting Bicycle Tourism

Province to Provide Additional Funding for Housing

On Friday, MPP David Piccini announced that the Province would provide Northumberland County with an additional $2M towards their Homelessness Prevention Program.  Mayor Lucas Cleveland and all Cobourg Councillors were at the announcement as were representatives from County staff and other County Townships.  Police Chief VandeGraaf was also in attendance.  David Piccini and Warden Mandy Martin were the only speakers. David said that the increased funding would help end the housing supply crisis and help end homelessness and that the Province remains a committed Partner. Mandy expressed her gratitude to the Province – she said that the investment comes at a critical time and she looks forward to continuing cooperation from all levels of Government.  Mandy spoke about the County’s… Read complete articleProvince to Provide Additional Funding for Housing

County Strategic Plan Survey

It’s not just Cobourg who is developing a Strategic Plan for the next term of Council – Northumberland County is now seeking resident input.  It’s notable that the County is approaching creation of its plan differently – they are starting with a survey instead of Cobourg’s approach of asking for comments on a draft plan.  The survey has only three questions and they are very general – see below.  Compare this approach to Cobourg’s (as outlined in an earlier Post), and Port Hope’s which asks for an update on their 2019-2022 plan and Brighton who are holding four public meetings where residents help create their plan.  But residents of Cobourg are also in Northumberland County so this is a survey… Read complete articleCounty Strategic Plan Survey